In September of 2014, I worked backstage at Seattle’s ACT Theatre during performances of the Noh play ‘Tomoe.’ The performers, members of the Takeda Noh Troupe, were ecstatic. The people of Seattle, given the rare opportunity to experience a performance of classic Japanese theatre, had responded enthusiastically, selling out all four performances.
Their enthusiasm was understandable, of course. The beauty of Noh is well-known, its stories timeless and universal. Many in the audience were also intrigued by the main character, the ghost-spirit of a woman warrior called Tomoe.
In the Noh play ‘Tomoe,’ a monk, traveling to the capital, arrives at the plain of Awazu, the site of a great 12th century battle. He stops near a shrine to rest and sees a woman from a nearby village. He is surprised to see she is weeping as she worships, and later shocked when she fades into the grass.
Still later, the same woman reappears clad in armor, a woman warrior, grieving. Choking back tears, she tells her story, the story of the famed 12th –century woman warrior Tomoe Gozen.
Tomoe and her lord are surrounded. Seeing that the end is near, she urges her lord to take his own life. She will join him soon after. But her lord refuses her request. He will take his own life, but she has to disguise herself and return safely so that she can tell the people how he met his end.
This is the self-sacrifice required of Tomoe. Typical of a samurai warrior, she is concerned with her name and how future generations will speak of her. She wants to die an honorable death by her lord’s side. Her lord too, however, is concerned about his name. The people must know that he died by his own hand, not killed by some soldier of no significance.
Enemy warriors approach, and Tomoe rushes off to fend them off. She fights valiantly, driving them away, only to return to find her lord has taken his own life. Tomoe is overwhelmed with grief, unable to move. She longs to die by her lord’s side, but in the end chooses to honor his final wishes. She sheds her armor and, disguised, returns to Kiso village to tell of her lord’s final moments. Her frenzied battle and lonely departure is one of the most devastating scenes in the Noh repertoire.
What Can We Learn From ‘Tomoe’?
1) Don’t be fooled by stereotypes
The image of Tomoe Gozen (she is typically depicted, in paintings as in the Noh, carrying a naginata, a kind of spear with a curved, sword-like spearhead) is a powerful one, very much at odds with the cliched image of the giggly, shy, subservient image of Japanese women commonly presented in the media. Women warriors, however, have existed throughout Japan’s history.
2) Be aware of the pressures Japanese women are subject to
Like Tomoe, Japanese women are often forced by society into difficult choices. This is true of women everywhere, but for historical reasons, the pressures on Japanese women are particularly strong. This requires a kind of toughness of modern women, a mentality similar to that of Tomoe Gozen.
3) Respect the power of Japanese women
Today Japanese housewives do the majority of the buying decisions at home, making them a powerful economic force, and Japanese businesswomen have become an energetic creative force at work.
Equal Treatment Under the Law
In 1986 a law was enacted by the Japanese government requiring equal treatment of women in the workplace. Before that law, women were, with rare exceptions, barred from working as supervisors or managers, their role limited to administration. Until then, women had been required to wear uniforms, something not required of men. The law was passed to change all that.
(Quantum chemistry results that have nothing to do with the text)
=====
ORCA calculation (ωB97M-V with the def2-TZVPD basis set) on C47H62N5O4SbSi2V as an isolated structure.

The expectation value of S² is 1.00. The calculation puts the electronic energy at -113363.5826 eV. As for the gap between HOMO and LUMO (spin up / spin down): 2.464 / 2.199 eV.

Geometry as ORCA input:
```
! RIJCOSX wB97M-V def2-TZVPD def2/J DEFGRID3
* xyz -2 2
V -0.15410 0.02460 -0.76530
C 0.05190 6.37510 -0.06420
O 1.25870 6.21610 -0.75110
C 1.55460 4.92990 -1.20530
C 2.57730 4.85510 -2.16800
C 2.92080 3.64840 -2.72050
C 2.28060 2.44060 -2.36190
C 2.59270 1.18100 -2.94540
C 3.73330 1.10940 -3.96670
O 1.98530 0.11770 -2.68390
C 1.25290 2.51540 -1.33790
O 0.62640 1.47890 -0.93520
C 0.92650 3.77590 -0.78810
H -0.02440 7.43980 0.16290
H 0.03450 5.80780 0.87180
H -0.80560 6.06860 -0.68010
H 3.07480 5.77070 -2.46040
H 3.70510 3.62600 -3.46690
H 3.43980 1.59360 -4.90070
H 3.93630 0.05830 -4.16210
H 4.63370 1.58530 -3.58120
H 0.15330 3.77170 -0.02950
C 3.42780 -0.56950 0.13970
Si 1.68720 -1.39650 -0.13560
C 1.61910 -2.63610 1.37740
C 1.92200 -2.69020 -1.55700
C 3.03700 -3.51920 -1.59060
C 3.20460 -4.47700 -2.57570
C 2.24690 -4.60750 -3.56510
C 1.15380 -3.75830 -3.56460
C 0.96640 -2.80150 -2.57450
Si -0.55860 -1.59230 -2.56410
C -0.51220 -0.81260 -4.37110
C -1.98840 -2.89670 -2.92010
H 4.19500 -1.25050 0.50810
H 3.33960 0.24640 0.85650
H 3.77640 -0.14160 -0.79440
H 2.27030 -3.48990 1.21030
H 0.61330 -3.01600 1.52720
H 1.93800 -2.15060 2.29600
H 3.80000 -3.41960 -0.82840
H 4.07470 -5.12680 -2.57520
H 2.36290 -5.35710 -4.34300
H 0.42700 -3.84520 -4.36430
H -0.32460 -1.54760 -5.15490
H 0.27840 -0.06950 -4.41400
H -1.45600 -0.31600 -4.60630
H -1.67900 -3.69200 -3.59290
H -2.84610 -2.40920 -3.37810
H -2.31920 -3.35790 -1.99730
C -1.33910 -4.99190 0.80320
N -1.84770 -4.09960 1.81840
C -2.37910 -2.88870 1.48960
N -2.87420 -2.17280 2.55600
O -2.50280 -2.52110 0.33610
H -2.08770 -5.74900 0.53760
H -0.43660 -5.49300 1.14990
H -1.09640 -4.40480 -0.08500
H -1.66200 -4.31340 2.78390
H -2.44430 -2.32240 3.45970
H -3.00040 -1.19240 2.34370
C -6.09710 -0.61870 -1.83600
C -4.87700 -1.29760 -1.23330
N -3.85990 -0.31140 -0.97590
C -3.56730 0.67620 -1.87480
N -2.43980 1.26230 -1.76870
C -2.09620 2.38870 -2.59100
C -3.33010 3.06090 -3.19310
C -4.21600 1.97690 -3.79140
N -4.60030 1.06680 -2.73780
C -5.63900 0.12550 -3.08190
H -6.50840 0.09720 -1.12290
H -6.86370 -1.35540 -2.08610
H -4.51090 -2.08100 -1.91000
H -5.12470 -1.77480 -0.28210
H -3.02690 -0.71960 -0.55330
H -1.41960 2.04280 -3.38310
H -1.52790 3.09480 -1.97530
H -3.04890 3.80000 -3.94290
H -3.89010 3.56360 -2.40280
H -3.68100 1.45040 -4.59690
H -5.12870 2.40900 -4.22350
H -5.29310 -0.60090 -3.83750
H -6.47040 0.68940 -3.52860
C 6.18070 -0.11470 5.80540
C 5.61340 -0.98170 4.87970
C 4.31670 -0.78750 4.45370
C 3.54320 0.27360 4.93190
C 4.14330 1.15780 5.82290
C 5.43230 0.95860 6.27720
Sb 1.64920 0.60870 3.85610
C 0.50000 -0.60970 5.29410
C -0.19660 -1.70810 4.78490
C -1.15150 -2.36950 5.52820
=====
But the road to equality has not been an easy one. A lot has changed in Japan in the last quarter century, and the situation is much improved. But women are still under a lot of pressure. Even today, women in their late twenties are often pressed to quit, marry and raise children.
A lot of Japanese companies are changing, but the idea that women should do most of the housework and childcare. This requires abundant energy of mothers who strive to keep their position at work. Fortunately, Japanese men are also changing, so finding an understanding husband is a distinct possibility.
Women in Japan Today: Five Things to Observe
Japanese women are, of course, individuals, each with their own opinions, tastes and preferences. There are, however, many rules and traditions that they are subject to.
As a non-Japanese, you will likely be exempt from them, your faux pas forgiven. Still, it is best to be aware of the rules and sensitive to them. If not, you may be sending a message that you do not wish to send. While gender-specific rules have become more vaguely defined, there are still some women-only rules people unconsciously follow. Above all, it is important to be observant.
1) Pay attention to what Japanese women are wearing
Differences in style can be very subtle and age-appropriate. The color of clothes, for example, is much more codified in Japan than in the west. Bright colors are for younger women. As a non-Japanese, you may be able to ‘get away with’ wearing bright red, but it is possible you will come across as someone trying to look younger than you are, like a middle-aged man with a comb-over and too-tight jeans.
2) What kind of jewelry are the women wearing, if any?
Again, non-Japanese may be forgiven for not following the Japanese way, but the size of your diamond ring may cause resentment or start a power struggle, whether you want it to or not. It may be best to dress conservatively, wearing little or no jewelry.
3) Pay attention to posture
Japanese women tend to sit very erect, with knees together, even when relaxing during breaks. What you consider a relaxed posture may appear to the Japanese as a slouch.
4) When in a café, notice what other women are eating and drinking, and how
Competence with chopsticks is a plus, of course, and the difficulty of learning how to use them is highly exaggerated.
5) Above all, don’t make assumptions about politeness
Even now, in the west, a man will usually hold the door open for a woman and may even offer her the last seat on the bus. These are by no means internationally recognized rules of etiquette. If a woman enters an elevator first in Japan, she may get trampled. Proceed with caution.